The 65th General Hospital Unit of Duke University provided crucial support to allied troops in the Eastern Theater of Operations during World War II. This medical unit supplied care to troops and treated over 17, 000 patients. Less well-known is that Duke also had a presence and impact on the home front through Civilian Public Service Unit #61.
The Civilian Public Service (CPS) was established on October 16, 1940, as an alternative to military conscription for Conscientious Objectors (CO) during World War II. CO’s were men who declined military service based on their religious beliefs. Rather than serve as soldiers, these men were given the opportunity to support the home front in various capacities. These jobs consisted of work in soil conservation, forestry, firefighting, agriculture, social services, and mental health. In all, there were 152 CPS camps – or units – throughout the U.S., including one at Duke University.
The idea for a CPS unit at Duke began in June 1942, with a talk between Duke professor of neuropsychiatry Dr. Richard Lyman and Dr. Charles F. Boss, Jr., Executive Secretary of the Commission on World Peace of the Methodist Church. After all the arrangements were made, Unit #61 was officially started on December 1, 1942. All thirty original members were men who had come from other CPS camps around the country.
/*
Entry 1:
Below is an isolated ion of composition C6H14N2 and charge +2, with properties calculated with wB97M-V/def2-TZVPD.

As for the total energy: -345.87347 a.u. The energy relative to the best compared isomer or geometry (same formula, charge and spin) is 0.371 eV. The value obtained for the HOMO-LUMO gap is 9.96 eV. As for the structure (SMILES): C=[NH+]/C=C/C[C@H](C)[NH3+]. As for the total charge: +2.

Each line ends with the Mulliken charge.
Element x y z (Å)
C 1.7741 2.8112 2.7662  -0.057
N 1.0524 1.8073 2.4797  0.015
C 1.2882 0.9630 1.3336  -0.268
C 0.2649 0.4768 0.6499  -0.512
C 0.4352 -0.3904 -0.5617  -0.630
C -0.9403 -0.7663 -1.1845  0.034
C -1.8087 -1.7553 -0.4724  -1.309
N -0.5909 -1.3113 -2.6155  -0.332
H 2.6987 3.1172 2.2867  0.268
H 1.5376 3.4797 3.5904  0.277
H 0.1769 1.6067 2.9824  0.341
H 2.3132 0.8368 1.0311  0.406
H -0.7743 0.6575 0.8953  0.353
H 0.9877 0.0697 -1.3878  0.403
H 0.9984 -1.3085 -0.3655  0.440
H -1.4447 0.1711 -1.4143  0.361
H -2.3907 -2.3026 -1.2340  0.423
H -2.5991 -1.3104 0.1260  0.369
H -1.3378 -2.6105 0.0126  0.358
H -1.3791 -1.8568 -2.9615  0.345
H -0.5329 -0.5380 -3.2819  0.369
H 0.2711 -1.8469 -2.6748  0.345

Entry 2:
Below is a 2-piece molecular cluster, HPS2 overall, with properties calculated with wB97M-V/def2-TZVPD.

As for the total energy: -1138.23892 a.u. The energy relative to the best compared isomer or geometry (same formula, charge and spin) is 1.522 eV. The value obtained for the HOMO-LUMO gap (spin up / spin down) is 7.96 / 5.69 eV.

Each line ends with the Mulliken charge.
Element x y z (Å)
P -0.2928 -2.4143 -2.8530  0.179
S 1.5768 -1.9772 -2.9410  -0.090
S -0.7017 0.4873 -0.7410  -0.228
H -0.2826 1.1948 -1.7888  0.138

Entry 3:
Below is a 8-piece molecular cluster, C20H51BF4N2O5 overall, with properties calculated with wB97M-V/def2-TZVPD.

As for the total energy: -1702.42754 a.u. The energy relative to the best compared isomer or geometry (same formula, charge and spin) is 0.066 eV. The value obtained for the HOMO-LUMO gap is 9.01 eV.

Each line ends with the Mulliken charge.
Element x y z (Å)
C -4.9460 1.3305 -2.0374  -1.513
C -3.5592 2.0375 -2.5219  0.135
C -2.3862 1.1327 -2.3515  -0.855
N -1.0113 1.7098 -2.7806  0.772
C -0.6461 2.9209 -1.9030  -1.763
C -0.9748 2.1703 -4.1678  -0.740
C 0.4344 1.9529 -4.6529  -0.747
C 1.1454 1.2093 -3.5033  -0.976
C 0.0613 0.7696 -2.5423  0.325
H -4.9514 0.8595 -0.9705  0.118
H -4.9388 0.5136 -2.5069  0.739
H -5.7986 2.0961 -2.2014  0.329
H -3.2232 3.0670 -2.0162  0.210
H -3.7226 2.0997 -3.6840  0.200
H -2.6657 0.2295 -2.7906  0.738
H -2.2879 0.7395 -1.2527  -0.089
H -1.1549 3.6105 -2.1910  1.054
H 0.3095 3.3201 -2.1238  0.495
H -0.7307 2.7217 -0.8247  0.191
H -1.6069 3.0663 -4.4094  0.521
H -1.7752 1.6224 -4.6577  0.479
H 0.7489 3.0883 -4.9705  0.276
H 0.5907 1.5978 -5.7434  0.356
H 1.8506 1.9183 -3.1535  0.194
H 1.6158 0.4890 -4.0652  0.648
H 0.4629 0.6813 -1.6430  -0.324
H -0.3592 -0.2558 -2.6364  0.414
B 0.8672 -1.2036 1.2711  0.124
*/
Medical camps of the CPS were based at state-run mental institutions with the goal of improving the often deplorable conditions of these sites. CPS Unit #61 was unique among the camps in that it was at a private institution with comparatively good facilities and of the three branches, one did not assist with psychiatric care. The branches were at Highland Hospital, Meyer Ward, and the operating rooms of Duke Hospital. Attendants on Meyer Ward and Highland Hospital recorded patient temperatures, blood pressure, gave baths, charted behavior, and cleaned up after them. CPS workers in the operating rooms served as orderlies and assistants to the doctors. They set up equipment, transferred patients, retrieved supplies, mopped floors, and even sorted linen and laundry. The image on the right shows three CPS workers assisting a patient in the operating room.
=====
Computed, not measured: C18H8Cl2F9NOPV as an isolated structure, with wB97M-V/def2-TZVPD.

Geometry as XYZ:
```
41
Properties=species:S:1:pos:R:3:nbo_charge:R:1
V -0.55939 -0.54358 -1.03670 1.47
Cl -6.74599 -3.13326 -0.36762 0.08
Cl -1.80016 -5.17087 -0.83315 0.11
P -0.61101 0.48451 -3.72849 2.64
F -0.48615 -0.25547 -5.07120 -0.52
F 7.38752 1.43639 3.33419 -0.31
F 0.61485 -0.35757 -2.98836 -0.53
F 7.07746 3.33584 2.35005 -0.31
F -1.56767 -0.69410 -3.03704 -0.55
F 0.35996 1.65622 -4.01631 -0.52
F -0.74076 1.14990 -1.94827 -0.53
F -1.89240 1.31456 -4.02460 -0.53
F 6.28068 3.00464 4.33549 -0.31
O -0.94844 -2.20921 -0.60978 -0.51
N -2.49814 -0.23998 -0.44307 -0.45
C 5.32028 1.27091 1.29132 -0.17
C 1.76893 0.42645 0.71767 0.30
C -3.20805 0.87240 -0.32282 0.13
C -2.80856 -3.80141 -0.67673 -0.04
C -5.04777 -2.89413 -0.46611 0.01
C -2.27484 -2.54646 -0.62700 0.26
C 0.75535 -0.00778 0.18213 -0.43
C 4.18089 0.77665 0.69252 -0.16
C -3.13540 -1.44490 -0.48964 0.14
C 2.94537 0.92154 1.33691 -0.14
C 4.01306 2.03863 3.17783 -0.18
C 2.86361 1.55420 2.58017 -0.16
C -5.25632 -0.37730 -0.25575 -0.05
C 5.23037 1.89855 2.52937 -0.08
C -4.21301 -3.96444 -0.60301 -0.22
C -4.59974 0.83021 -0.21409 -0.26
C 6.50139 2.42651 3.15062 0.97
C -4.52499 -1.56790 -0.40194 -0.12
H -2.66322 1.80636 -0.32577 0.24
H -5.14615 1.75623 -0.11227 0.26
H 1.90483 1.65658 3.06923 0.23
H -6.33453 -0.41819 -0.17752 0.26
H 3.96471 2.52484 4.14134 0.25
H 4.23234 0.28011 -0.26644 0.23
H -4.61997 -4.96484 -0.64986 0.27
H 6.28107 1.16918 0.80472 0.25
```

Its energy is -3925.228142 Eh. The orbital gap (spin up / spin down) comes out at 5.9516 / 7.0207 eV. The value obtained for the largest force on an atom is 0.611 eV Å⁻¹. Its total charge is +1. The spin multiplicity is 2. Its energy above the lowest of the compared OMol25 structures with the same formula, charge and spin is 0.000 eV. Its expectation value of S² is 0.800.

=====

# 1
ORCA calculation (wB97M-V/def2-TZVPD) on the molecule C2H4N2S at a distorted geometry.

The SMILES is [H]/N=C(/N)C=S. As for the total charge: 0. The value obtained for the HOMO-LUMO gap is 8.0 eV. The calculation puts the highest occupied orbital energy at -9.27 eV.

Structure (XYZ):
```
9
Properties=species:S:1:pos:R:3:forces:R:3
H 0.961 -1.767 0.190 0.917 0.982 -0.923
N 1.346 -0.818 -0.041 0.699 -0.617 0.739
C 0.341 -0.027 -0.092 0.614 0.503 0.565
N 0.452 1.363 -0.089 -0.496 -0.697 -0.219
C -0.906 -0.746 -0.107 -4.938 4.053 0.617
S -2.400 0.068 -0.043 2.444 -1.553 -0.257
H 1.395 1.700 -0.021 0.110 -0.059 0.095
H -0.276 2.017 0.232 0.411 -1.213 -0.493
H -0.914 -1.789 -0.029 0.239 -1.398 -0.123
```
Forces are in eV/Å.



# 2
ORCA calculation (wB97M-V/def2-TZVPD) on the molecule C2H4N2S at a distorted geometry.

The SMILES is C=NNC=S. As for the total charge: 0. The value obtained for the HOMO-LUMO gap is 8.5 eV. The calculation puts the highest occupied orbital energy at -8.65 eV.

Structure (XYZ):
```
9
Properties=species:S:1:pos:R:3:forces:R:3
=====
The data records stop here.
None of the CPS workers had prior training or work experience in hospitals. Despite their lack of technical knowledge, their educational backgrounds were often higher than those of regular employees in similar positions: A few had college degrees and still more had at least some college experience. To better equip them for their positions, classroom instruction was included in their daily work routines. Workers on Meyer Ward worked a total of 52 hours a week, 12 of which were spent in the classroom. There they learned appropriate methods for handling patients, including when and how to use physical force. Workers in the operating rooms worked 48 hours a week, with 4 hours devoted to classroom instruction in anatomy, physiology, and nursing.
The CPS produced a newsletter, The Reporter, to provide CO’s across the country with updates on other camps and national and international goings-on. In addition to the The Reporter,
Unit #61 created its own newsletter that circulated within the camp. Service provided news from each of the three branches. Pictured on the left is the April 1944 issue of Service. It also featured opinion pieces on national and international events regarding the war. Whereas The Reporter was all text, Service featured illustrations and cartoons drawn by resident artist, Robert Blake. The image above shows Blake working on a medical illustration in 1944. The green diamond on his sleeve indicates he is part of the CPS.
CPS Unit #61 disbanded in 1946, with all the CPS camps closed by 1947. At its height, the number of men in Unit #61 reached 45. After the war, most left the camp and returned to civilian life, but a few stayed on to continue working at Duke. One of these men was Robert Blake, whose artistic talent gained him a position in the Division of Medical Art and Illustration.
To learn more about the CPS Unit #61 and read original copies of Service, contact the Archives at dumc.archives@mc.duke.edu. You also may view the Civilian Public Service Collection Finding Aid on our website, and see more images of CPS workers at our digital repository, MEDSpace.